In parts of central Alberta, lygus counts continue to exceed thresholds significantly (with counts as high as 450 lygus in 10 sweeps in some fields). In other areas, lygus numbers are just at or approaching threshold but the crop is very near to swathing. With these counts, growers are encouraged to resist the urge to simply spray and to be vigilant when scouting for lygus. Some insect species (eg. bertha armyworm) can decimate a crop if left uncontrolled, but it is unlikely lygus bug will cause a complete crop loss.
As pods mature and become leathery, lygus bugs are unable to pierce and feed and will move to less mature pods (ie. side branches). Examine the architecture of the plants, and quantify if these less mature areas are where the bulk of the yield is located. Consider also the growing conditions. Is there sufficient moisture to fill these later stages? If so, then it may be economical to spray late in the season (7 to 10 days before swathing). Once the crop is swathed, lygus can no longer feed and will move onto other more desirable hosts.
# Misplaced materials data
+++
# Cs2TaTlF6 (meta-GGA r2SCAN, relaxed)
# - ρ: 5.99 g/cm3
# - Calculated formation energy: -2.67 eV per atom
# - Total DFT energy (no corrections): -197.49 eV/f.u.
# - Crystal system: cubic
data_Cs2TaTlF6
_cell_length_a 9.466
_cell_length_b 9.466
_cell_length_c 9.466
_cell_angle_alpha 90.00
_cell_angle_beta 90.00
_cell_angle_gamma 90.00
_space_group_name_H-M_alt 'F m -3 m'
_space_group_IT_number 225
_space_group_name_Hall '-F 4 2 3'
loop_
_atom_site_label
_atom_site_type_symbol
_atom_site_fract_x
_atom_site_fract_y
_atom_site_fract_z
Cs1 Cs 0.250 0.250 0.250
Ta1 Ta 0.000 0.000 0.000
Tl1 Tl 0.000 0.000 0.500
F1 F 0.000 0.000 0.219

# CsTbF5 (meta-GGA r2SCAN, relaxed)
# - ρ: 5.07 g/cm3
# - Calculated formation energy: -3.35 eV per atom
# - Total DFT energy (no corrections): -95.43 eV/f.u.
# - Crystal system: orthorhombic
data_CsTbF5
_cell_length_a 14.486
_cell_length_b 8.367
_cell_length_c 8.369
_cell_angle_alpha 90.00
_cell_angle_beta 90.00
_cell_angle_gamma 90.00
_space_group_name_H-M_alt 'C m c e'
_space_group_IT_number 64
_space_group_name_Hall '-C 2ac 2'
loop_
_atom_site_label
_atom_site_type_symbol
_atom_site_fract_x
_atom_site_fract_y
_atom_site_fract_z
Cs1 Cs 0.187 0.000 0.000
Tb1 Tb 0.000 0.169 0.331
F1 F 0.000 0.067 0.787
F2 F 0.000 0.214 0.068
F3 F 0.107 0.000 0.500
F4 F 0.152 0.182 0.322

# Cs2TcF6 (meta-GGA r2SCAN, relaxed)
# - ρ: 4.73 g/cm3
# - Calculated formation energy: -2.86 eV per atom
# - Total DFT energy (no corrections): -120.65 eV/f.u.
# - Crystal system: trigonal
data_Cs2TcF6
_cell_length_a 6.2481
_cell_length_b 6.2481
_cell_length_c 4.9652
_cell_angle_alpha 90.00
_cell_angle_beta 90.00
_cell_angle_gamma 120.00
_space_group_name_H-M_alt 'P -3 m 1'
_space_group_IT_number 164
_space_group_name_Hall '-P 3 2"'
loop_
_atom_site_label
_atom_site_type_symbol
_atom_site_fract_x
_atom_site_fract_y
_atom_site_fract_z
Cs1 Cs 0.3333 0.6667 0.2989
Tc1 Tc 0.0000 0.0000 0.0000
F1 F 0.1501 0.3002 0.7830

Question: Look up the ρ of the first one.
Answer: 5.99 g/cm3


A plane-wave DFT calculation with PBE was carried out for a relaxed SrPr12Al12Si18N36O18 crystal.

DFT formation energy in kJ per mole of atoms: -138.7
Space-group type: I-43m
Energy in eV per formula unit: -717.94
Magnetic moment in μB/cell: 6.00

abc: 11.6913 11.6913 11.6913
angles: 109.47 109.47 109.47
Sites, in units of the cell vectors:
Sr  0.0000  0.0000  0.0000
Pr  0.2533  0.5771  0.5771
Pr  0.7467  0.3238  0.3238
Pr  0.0000  0.4229  0.6762
Pr  0.5771  0.5771  0.2533
Pr  0.0000  0.6762  0.4229
Pr  0.3238  0.3238  0.7467
Pr  0.4229  0.6762  0.0000
Pr  0.6762  0.4229  0.0000
Pr  0.5771  0.2533  0.5771
Pr  0.6762  0.0000  0.4229
Pr  0.4229  0.0000  0.6762
Pr  0.3238  0.7467  0.3238
Al  0.3654  0.1887  0.1887
Al  0.6346  0.8233  0.8233
Al  0.0000  0.8113  0.1767
Al  0.1887  0.1887  0.3654
Al  0.0000  0.1767  0.8113
Al  0.8233  0.8233  0.6346
Al  0.8113  0.1767  0.0000
Al  0.1767  0.8113  0.0000
Al  0.1887  0.3654  0.1887
Al  0.1767  0.0000  0.8113
Al  0.8113  0.0000  0.1767
+++
Click here for more information on lygus (ie. sweeping technique, effects of weather, economic thresholds, etc.).
Bertha armyworm spraying is continuing in parts of Saskatchewan. Unlike lygus, if left uncontrolled bertha armyworm can cause significant yield loss because of the larva’s chewing mouthparts. Canola is susceptible even if the pods are beginning to ripen. The shortest insecticide pre-harvest interval (PHI) is 7 days, so growers with canola that is a week or more away from being ready to swath are encouraged to get out and scout to determine if spraying for bertha armyworm will be necessary. If it will, choose a product with an appropriate PHI and ensure spraying is completed at least that many days before cutting (swathing or straight cutting). Once the crop is within a week of cutting it is too late to spray because no registered products with a short enough PHI are available, and any application will put your crop at risk for residues that exceed maximum residue limits. Click here for more information on bertha armyworm (scouting video, economic thresholds).
Click here to review last week’s information bertha armyworm, lygus bug, and fall flea beetle populations.
Mother Nature is believed to be helping control bertha armyworm in a number of regions this year. Numerous larva have been found parasitized by the nuclear polyhedrosis virus and by a fungal pathogen. Larva succumbed to the virus are found still attached to the plant and look as if they have melted onto the plant. Pathogens can at times be very effective at reducing bertha armyworm populations. Levels will vary but infection rates by the virus as high as 95% of the population have been recorded (Erlandson, 1990). Some scouts in fields in Manitoba are finding parasitism rates as high as 30%.